_Entries_
+++
(1)
The following is a quantum chemistry calculation of a molecular structure, CH4Br2OSi in a non-equilibrium geometry, from OMol25.

orbital gap = 10.4 eV
LUMO level = 0.164 eV
HOMO energy = -10.28 eV

```
! RIJCOSX wB97M-V def2-TZVPD def2/J DEFGRID3
* xyz 0 1
C -0.88 0.31 1.00
O 0.46 0.15 0.74
Si 1.12 -0.38 -0.66
Br -1.33 2.11 0.24
Br -1.82 -1.03 -0.09
H -1.33 0.36 2.06
H 0.75 -1.85 -1.06
H 2.48 0.22 -0.35
H 0.56 0.11 -1.88
*
```

Atomic partial charges in e from the natural (NBO) method, atoms 1 to 4: C 0.02; O -0.88; Si 1.13; Br -0.03

(2)
The following is a quantum chemistry calculation of a molecular structure, C6H14FN2 in a non-equilibrium geometry, from OMol25.

orbital gap (alpha / beta) = 6.9 / 7.3 eV
LUMO level (alpha / beta) = -2.780 / -7.188 eV
HOMO energy (alpha / beta) = -9.66 / -14.52 eV

```
! RIJCOSX wB97M-V def2-TZVPD def2/J DEFGRID3
* xyz 1 3
C 0.72 0.33 1.05
C -0.39 3.45 -0.45
C 2.11 -1.96 0.82
C -1.09 -1.72 -1.19
C -0.25 2.60 0.80
C 0.70 -1.55 0.50
N 0.03 1.22 0.43
N 0.29 -1.67 -0.76
F 1.27 0.66 2.19
H -1.17 3.07 -1.10
H -0.65 4.46 -0.16
H 0.55 3.49 -1.00
H 2.18 -3.05 0.79
H 2.41 -1.64 1.81
H 2.81 -1.56 0.09
H -1.20 -2.50 -1.95
H -1.72 -1.98 -0.34
H -1.43 -0.78 -1.62
H -1.20 2.60 1.36
H 0.54 2.96 1.46
H -0.03 -1.86 1.25
H 0.98 -1.61 -1.50
H -0.39 0.93 -0.45
*
```

Atomic partial charges in e from the natural (NBO) method, atoms 1 to 4: C 0.56; C -0.62; C -0.65; C -0.44

(3)
The following is a quantum chemistry calculation of 12 unconnected molecules or ions with the total composition C24H72O12S12 in a non-equilibrium geometry, from OMol25.

orbital gap = 8.6 eV
LUMO level = 0.372 eV
HOMO energy = -8.24 eV

```
! RIJCOSX wB97M-V def2-TZVPD def2/J DEFGRID3
* xyz 0 1
C 9.15 17.75 19.32
S 10.16 17.26 20.68
O 10.08 15.77 20.69
C 11.74 17.72 19.92
H 9.61 18.61 18.80
H 8.16 17.94 19.70
H 9.19 17.02 18.58
H 12.56 17.47 20.60
H 11.74 18.77 19.84
H 12.03 17.28 18.99
C 9.83 5.97 15.96
S 9.21 6.62 14.37
O 10.27 6.88 13.44
C 8.40 5.10 13.92
H 10.58 5.18 15.75
H 8.94 5.63 16.44
H 10.24 6.82 16.50
H 8.01 5.23 12.92
H 7.58 4.90 14.63
H 9.04 4.22 14.04
C 9.23 11.62 23.08
S 8.43 12.68 21.77
O 7.10 12.09 21.54
C 8.27 14.28 22.69
H 8.56 11.47 23.88
H 10.19 12.05 23.39
H 9.51 10.68 22.61
H 7.89 14.19 23.67
H 7.61 14.87 22.06
H 9.27 14.71 22.63
C 16.28 10.72 16.51
S 17.39 11.86 17.29
O 16.92 13.23 16.89
C 16.83 11.57 18.97
H 16.21 9.83 17.19
H 16.61 10.45 15.54
H 15.24 11.16 16.68
H 17.25 10.65 19.40
H 15.74 11.65 19.11
H 17.40 12.38 19.54
C 17.13 15.70 19.42
S 15.55 15.53 20.17
O 15.37 16.73 21.07
C 14.52 15.85 18.67
H 17.28 16.60 18.87
H 17.24 14.80 18.75
H 17.70 15.66 20.33
H 14.99 16.79 18.24
H 13.44 16.02 18.94
H 14.57 15.02 17.93
C 14.26 12.63 21.94
S 12.95 13.77 21.38
O 11.67 12.99 21.67
C 13.15 14.93 22.75
H 14.40 11.95 21.13
H 13.96 12.03 22.82
H 15.18 13.16 22.27
H 13.58 14.40 23.60
H 12.12 15.30 22.84
H 13.92 15.68 22.45
C 8.84 10.36 14.93
S 7.08 10.30 14.92
O 6.59 11.62 15.41
C 6.77 10.38 13.11
H 9.12 10.51 15.96
H 9.25 11.18 14.34
H 9.14 9.42 14.55
H 5.84 9.76 12.86
H 7.62 9.85 12.64
H 6.76 11.43 12.73
C 13.64 14.01 15.88
S 13.18 13.13 14.42
O 13.36 11.63 14.79
C 14.77 13.74 13.67
H 14.54 13.44 16.24
H 12.92 13.87 16.68
H 13.80 15.11 15.72
H 14.88 13.31 12.63
H 15.60 13.40 14.32
H 14.72 14.84 13.45
C 10.67 9.65 10.73
S 11.89 10.58 11.71
O 10.95 11.51 12.46
C 12.51 9.38 12.84
H 10.16 8.98 11.43
H 11.03 9.08 9.84
H 9.86 10.37 10.39
H 11.66 8.74 13.15
H 12.97 9.94 13.66
H 13.27 8.86 12.28
C 6.65 10.03 19.07
S 7.09 8.34 18.79
O 8.14 8.43 17.69
C 7.89 8.09 20.32
H 7.49 10.56 19.41
H 6.00 10.19 19.91
H 6.21 10.45 18.18
H 7.40 8.77 21.04
H 8.97 8.30 20.14
H 7.82 7.08 20.78
C 8.40 14.79 14.74
S 9.56 14.68 16.10
O 10.07 16.10 16.30
C 8.49 14.37 17.43
H 7.91 13.89 14.49
H 9.00 15.03 13.83
H 7.67 15.56 14.95
H 7.77 13.49 17.20
H 7.84 15.27 17.61
H 9.06 14.21 18.31
C 12.45 9.33 17.52
S 12.58 10.13 19.09
O 13.99 10.54 19.20
C 11.51 11.52 18.67
H 12.78 8.35 17.63
H 13.01 9.96 16.87
H 11.39 9.42 17.18
H 11.66 12.29 19.44
+++

_To do_
Search the contents earlier on for the word "natural" and restate each line that has it.

_Done_
Atomic partial charges in e from the natural (NBO) method, atoms 1 to 4: C 0.02; O -0.88; Si 1.13; Br -0.03
Atomic partial charges in e from the natural (NBO) method, atoms 1 to 4: C 0.56; C -0.62; C -0.65; C -0.44